Matt Walsh, Ian Miles Cheong, Michael Shellenberger and so many anti-lockdown “leaders” were themselves fanning the hysteria for lockdowns and masks
Between two parts of the article: calculated molecules:
____________
No. 1
Computed, not measured: a cluster of 3 separate species, CH5O4 in total, with wB97M-V/def2-TZVPD.

Structure (XYZ):
```
10
Properties=species:S:1:pos:R:3:forces:R:3
O -0.61930 2.01452 -0.26581 0.3 -0.2 0.3
C -0.63497 1.22847 0.71422 0.3 0.9 -1.1
O 0.29841 0.85263 1.44100 0.4 -0.3 0.2
H -1.62609 0.82942 0.91156 -1.0 -0.6 0.5
H -2.52665 -2.92725 -1.40041 0.0 -0.1 -0.2
H -1.23749 -2.57889 -0.73993 0.2 -0.2 -0.2
O -1.60753 -3.21629 -1.36881 -0.2 0.4 0.4
H 3.26420 0.79899 0.45005 -0.4 0.0 0.1
H 1.86755 1.40228 0.11375 0.0 0.0 0.5
O 2.82187 1.59613 0.14437 0.5 0.1 -0.5
```
Forces are in eV/Å.

For the LUMO energy, the calculation gives 3.57 eV. For the total energy, the calculation gives -342.1248 hartree. The net charge is -1. For the energy above the lowest of the compared OMol25 structures with the same formula, charge and spin, the calculation gives 78.5 kJ/mol.

Atom charges from the Löwdin analysis, given in e for atoms 1 to 4:
1. O -0.1428
2. C -0.6909
3. O -0.1303
4. H 0.0662

---

No. 2
Computed, not measured: the molecule C5H10N2S, with wB97M-V/def2-TZVPD.

Structure (XYZ):
```
18
Properties=species:S:1:pos:R:3:forces:R:3
C -0.99969 -1.88209 1.29594 1.8 -0.5 -1.4
C -1.05847 -0.75462 0.25232 -1.3 -1.4 -0.3
C -2.09954 0.31075 0.61324 0.1 1.4 0.7
C 0.22990 -0.05323 0.08883 0.7 0.5 -0.7
C 0.35019 0.69703 -1.25038 -0.7 -0.7 1.2
H -1.89860 -2.43174 1.34100 -1.4 -0.2 0.2
H -0.28771 -2.64748 0.89170 -0.2 0.6 0.5
H -0.64951 -1.59593 2.27373 0.0 0.3 0.3
H -1.39749 -1.24871 -0.72993 0.8 1.0 1.3
H -2.35477 0.98869 -0.22876 0.4 -0.5 0.5
H -3.03104 -0.16941 0.91424 0.1 0.0 0.3
H -1.66371 0.94966 1.45948 -0.9 -0.9 -0.9
H 1.69185 1.89368 -2.26489 -0.4 -1.9 1.7
H 2.18765 1.26509 -0.73173 0.3 -0.2 0.5
H -0.67744 0.85397 -2.95140 0.4 0.7 1.2
N 1.58033 1.13149 -1.51348 1.3 2.6 -3.0
N -0.71780 0.71558 -1.91901 -0.7 -0.7 -2.2
S 1.46930 -0.04339 1.12839 -0.2 -0.1 0.2
```
Forces are in eV/Å.

For the LUMO energy, the calculation gives -0.55 eV. Its SMILES is [H]/N=C(\N)C(=S)C(C)C. For the total energy, the calculation gives -704.1808 hartree. For the energy above the lowest of the compared OMol25 structures with the same formula, charge and spin, the calculation gives 112.9 kJ/mol.

Atom charges from the Löwdin analysis, given in e for atoms 1 to 4:
1. C -0.1121
2. C -0.4798
3. C -0.0813
4. C -0.6506

---

No. 3
Computed, not measured: the molecule C2H5N3O3, with wB97M-V/def2-TZVPD.

Structure (XYZ):
```
13
Properties=species:S:1:pos:R:3:forces:R:3
C -0.40272 0.37653 0.01330 -0.2 -2.0 -0.9
C 1.10530 0.50893 -0.11616 1.1 2.0 1.0
H -0.64969 2.36643 0.51649 0.2 -1.0 -0.4
H -2.06482 1.48301 0.42896 -1.3 -0.6 0.1
H -2.60019 -1.56024 -0.50483 -0.2 -0.7 -0.3
H 2.87185 -0.27777 -0.27407 1.7 -0.3 0.2
H 0.86887 -2.08616 -0.18800 -0.1 0.0 0.0
N -1.10512 1.48919 0.23798 1.3 2.0 0.6
N -0.91161 -0.80566 -0.23263 0.8 1.1 0.5
N 1.93909 -0.53100 -0.13161 -2.9 -1.6 0.0
O -2.30008 -0.79883 -0.02723 0.3 1.0 0.2
O 1.67986 1.60607 -0.12297 -1.5 0.0 -0.5
____________
Do we really want them as our leaders?
Who are the big Twitter “intellectuals” now on Team Reality but who, in early 2020, argued in panic for lockdowns and/or masks, and never were held to account for that?
There are so many, but just a few off the cuff…
Matt Walsh:
Michael Shellenberger:
Ian Miles Cheong:
Others include Cernovich…
…and James Melville.
These folks missed the mark at the most important moment in their lives.
They failed when the big moment happened, and yet folks still flock to hear their opinion.
Expunging the history of one’s unethical or mistaken viewpoints is not how we move toward a better world.
We can be forgiving, but that does not mean forgetting, much less ignoring.
They need to be honest, apologize, be forgiven, and then redeem themselves (that is, overcome the consequent loss of reputation). I don’t see these steps. I just see them stepping into leading us despite having been part of the problem.
(Inserted here: quantum chemistry results)
'''
1.
Entry from the Open Molecules 2025 dataset: a structure of composition C47H58N2P2PtS2SbSi3 (ωB97M-V/def2-TZVPD).

Last column: Löwdin charge in e.
Element x y z (Å)
Pt: 0.219187 -0.214375 0.060087  0.488
S: -1.786557 -1.362423 0.813087  0.325
P: -0.877402 -1.047556 2.606690  0.463
C: 0.323773 0.015907 2.161998  -0.737
P: 1.949980 0.322074 2.314922  0.445
S: 2.392779 0.779083 0.379160  0.355
C: 3.004500 -1.041804 2.916036  -0.337
C: 2.922551 -1.418521 4.256276  -0.092
C: 3.585566 -2.546147 4.710798  -0.091
C: 4.341866 -3.307551 3.828717  -0.102
C: 4.424218 -2.941290 2.493533  -0.086
C: 3.753010 -1.814752 2.035369  -0.094
C: 2.355505 1.660341 3.478976  -0.325
C: 1.316141 2.468001 3.925486  -0.090
C: 1.573641 3.522725 4.790662  -0.083
C: 2.873196 3.776541 5.204688  -0.097
C: 3.915433 2.973158 4.756628  -0.089
C: 3.657220 1.915987 3.898227  -0.082
C: -2.027119 -0.404337 3.857609  -0.341
C: -1.516558 0.280904 4.956238  -0.092
C: -2.375177 0.831870 5.894519  -0.084
C: -3.750291 0.703783 5.735335  -0.097
C: -4.261931 0.024071 4.639730  -0.090
C: -3.400591 -0.528395 3.700642  -0.097
C: -0.311368 -2.630941 3.315229  -0.306
C: -0.728283 -3.129144 4.543614  -0.078
C: -0.198316 -4.319377 5.031016  -0.093
C: 0.745112 -5.014381 4.292162  -0.096
C: 1.160794 -4.522731 3.058958  -0.082
C: 0.638995 -3.337652 2.575860  -0.097
H: 2.326802 -0.830747 4.947513  0.110
H: 3.505427 -2.836805 5.750947  0.101
H: 4.859293 -4.190874 4.182928  0.098
H: 5.007047 -3.536474 1.801180  0.102
H: 3.793545 -1.529483 0.990824  0.069
H: 0.312066 2.246023 3.580488  0.073
H: 0.759752 4.147502 5.138487  0.100
H: 3.077005 4.600184 5.877889  0.096
H: 4.929838 3.170690 5.079762  0.098
H: 4.468937 1.284302 3.555093  0.111
H: -0.443522 0.401464 5.062473  0.099
H: -1.973355 1.369680 6.744434  0.099
H: -4.421905 1.141149 6.463832  0.096
H: -5.332983 -0.068746 4.508554  0.102
H: -3.789257 -1.043216 2.830249  0.079
H: -1.464853 -2.591378 5.128280  0.097
H: -0.528319 -4.701110 5.989596  0.096
H: 1.157825 -5.940771 4.673100  0.097
H: 1.899947 -5.059826 2.478604  0.106
H: 0.963230 -2.940540 1.619990  0.088
C: -2.350025 0.057648 -4.600527  -0.314
Sb: -2.252458 -0.432879 -2.495326  1.375
C: -0.172106 -0.133089 -2.092221  -0.687
C: 0.454382 0.975427 -2.865830  -0.428
C: 0.973349 2.118124 -2.237666  -0.116
C: 1.610833 3.091701 -2.978616  -0.082
C: 1.716840 2.938101 -4.355301  -0.095
C: 1.146058 1.805083 -4.908357  -0.165
N: 0.535053 0.856537 -4.205418  0.082
Si: 0.656477 -1.778363 -2.460036  0.320
C: 0.437955 -2.370597 -4.265647  -0.211
C: 0.061960 -3.317560 -1.542000  -0.215
C: 2.537552 -1.642219 -2.352106  -0.188
C: -3.550472 1.277781 -1.745273  -0.535
C: -3.069587 1.775395 -0.402730  -0.440
C: -3.906461 1.892576 0.716221  -0.061
C: -3.432713 2.468492 1.878941  -0.070
C: -2.128826 2.932846 1.918295  -0.077
C: -1.360087 2.774289 0.779303  -0.149
N: -1.810150 2.229096 -0.346773  0.093
Si: -3.575975 2.863109 -2.793120  0.460
C: -4.600117 2.727798 -4.372270  -0.180
'''
(End of the quantum chemistry results)
People CAN be forgiven. And they can overcome their mistakes. But they can’t move forward without a hit to their reputation as if it never happened. Free expression works BECAUSE when people express themselves, they put reputation at stake. See our new book, EXPRESSLY HUMAN.
I’d prefer that our leaders getting us out of this mess weren’t the ones that not only got us into it, but hid the fact that they did.
So, we have loads of “leaders” today trying to “help” us understand what happened in March 2020 that we ended up with civil rights violations en masse, devastated economies, and epic prejudice against the unvaccinated, and they themselves were significant parts of the cause.
But they still lead us, with almost no one realizing that they in fact were key parts of the problem. They had disproportionate voices then, and irresponsibly fanned the flames of hysteria.
That makes them culpable. More so the more they had a voice.
Feel free to enter the conversation, and point out others in this category, at this Twitter thread…
Yes indeed, there were a few of us who stayed with actual non politicised science from the outset. NO to:
-Mask mandates
The piece is interrupted by records of molecules:
┌──
[1]
28
Properties=species:S:1:pos:R:3:mulliken_charge:R:1 method="wB97M-V/def2-TZVPD" total_charge=-1 e_homo_ev=-4.4457 e_above_lowest_ev=1.4638 fmax_ha_per_bohr=0.091 e_tot_ha=-1387.9661 gap_ev=7.9
C 1.228 2.124 -2.844 -1.62
C -2.235 -1.246 -0.423 -0.41
C -0.009 -3.028 2.198 -0.30
C 0.533 1.732 -1.582 -0.02
C 1.035 0.544 0.561 -0.52
N 1.471 1.094 -0.617 -0.19
O -1.080 0.015 2.429 -0.74
O 0.324 2.251 2.350 -0.58
O -1.459 1.690 0.571 -0.75
O 1.373 -2.001 -1.208 -0.80
O -1.006 -1.706 -0.844 -0.29
O 0.383 -3.097 0.783 -0.40
P -0.480 1.041 1.503 0.68
P 0.401 -1.737 -0.119 0.77
H 2.147 2.535 -2.545 0.45
H 1.228 1.445 -3.562 0.44
H 0.646 2.958 -3.300 0.37
H -2.913 -1.100 -1.301 0.21
H -2.107 -0.241 0.107 0.19
H -2.651 -1.903 0.270 0.29
H -0.186 -2.006 2.391 0.15
H 0.722 -3.606 2.872 0.23
H -1.095 -3.582 2.405 0.15
H -0.410 1.234 -1.736 0.27
H 0.299 2.729 -1.105 0.24
H 1.827 0.245 1.198 0.54
H -0.208 2.996 2.643 0.29
H 2.224 0.619 -1.095 0.36

---

[2]
90
Properties=species:S:1:pos:R:3:mulliken_charge:R:1 method="wB97M-V/def2-TZVPD" total_charge=+4 e_homo_ev="-16.7701 / -16.7730" fmax_ha_per_bohr=0.058 e_tot_ha=-4600.8311 gap_ev="3.0 / 3.0"
Pd -0.165 -0.479 0.003 -0.04
Se -4.530 3.954 5.641 0.56
N -4.144 2.318 5.195 -0.84
C -3.452 2.290 4.068 0.72
C -2.979 1.114 3.418 0.44
C -3.265 -0.156 3.922 -0.55
C -2.814 -1.260 3.234 -1.22
C -2.069 -1.061 2.077 -0.16
N -1.753 0.133 1.581 0.58
C -2.208 1.251 2.220 -0.13
C -1.970 2.546 1.695 -0.46
N -1.248 2.668 0.418 0.37
C -0.781 4.012 0.109 0.24
C -1.281 5.108 0.714 -1.22
C -2.174 4.990 1.793 -0.15
C -2.451 3.722 2.304 -0.14
C -3.204 3.584 3.517 0.79
N -3.698 4.576 4.233 -0.85
H -3.845 -0.241 4.827 0.62
H -3.041 -2.256 3.569 0.57
H -1.721 -1.930 1.522 0.58
H -0.059 4.056 -0.685 0.35
H -0.955 6.088 0.403 0.56
H -2.586 5.861 2.274 0.65
C -1.035 -3.731 -3.792 -1.11
N -0.617 -2.950 -2.644 0.13
C -1.688 -2.680 -1.712 -0.91
C 0.603 -2.422 -2.525 -0.58
N 0.797 -1.310 -1.795 0.91
C 2.023 -1.004 -1.249 1.68
C 2.865 -2.047 -0.798 -1.20
C 4.156 -1.817 -0.370 -1.40
C 4.682 -0.540 -0.411 -0.88
C 3.878 0.546 -0.802 1.38
C 4.449 1.833 -0.878 -0.92
C 3.693 2.907 -1.302 -1.31
C 2.354 2.738 -1.608 -0.80
C 1.721 1.487 -1.498 -0.21
N 0.347 1.387 -1.573 2.16
C -0.397 2.109 -2.411 -1.02
N -1.670 2.431 -2.027 0.24
C -2.772 2.538 -2.982 -1.30
C -2.148 2.164 -0.692 -1.12
N 0.053 2.558 -3.596 0.32
C -0.412 3.776 -4.227 -1.24
C 1.134 1.924 -4.317 -1.03
C 2.512 0.346 -1.160 -0.30
N 1.629 -2.982 -3.226 0.15
C 2.693 -2.221 -3.830 -0.65
C 1.808 -4.415 -3.305 -1.27
H -1.921 -3.264 -4.225 0.38
H -1.306 -4.748 -3.506 0.38
H -0.266 -3.758 -4.555 0.41
H -2.212 -3.614 -1.497 0.43
H -2.411 -1.984 -2.146 0.33
H -1.287 -2.278 -0.765 0.11
H 2.452 -3.046 -0.775 0.74
H 4.771 -2.635 -0.030 0.59
H 5.711 -0.357 -0.144 0.57
H 5.488 1.966 -0.622 0.55
H 4.140 3.887 -1.366 0.48
H 1.777 3.608 -1.887 0.47
H -2.435 2.346 -3.994 0.45
H -3.225 3.528 -2.938 0.39
H -3.532 1.794 -2.738 0.44
H -0.432 2.011 0.432 0.32
H -2.285 1.076 -0.519 0.48
H -3.104 2.688 -0.580 0.82
└──
Here the piece continues:
-Covid zero
YES to:
-Civil liberties
-Bodily autonomy
-Free speech.
For your list to be beautifully honest... you should indicate which ones have renounced their past folly, and which ones have not. Honestly, I only just started following James Melville.
What people say three years late is not nothing,
What people said at the outset is the most important.
Communities, Mark. They destroyed our communities - family, church, neighborhoods.
The divisions are real and dire.
I lost much of my family because I would not bend.